Material:
- - -
Diffraction record for ZnS. The powder XRD pattern is calculated, not measured: it uses a structure optimized by DFT (PBE) and a wavelength of 1.5418 Å.
No peak broadening, texture or thermal motion is included.

Cell and atoms:
```
data_ZnS
_cell_length_a 3.8541
_cell_length_b 3.8541
_cell_length_c 31.4875
_cell_angle_alpha 90.00
_cell_angle_beta 90.00
_cell_angle_gamma 120.00
_space_group_name_H-M_alt 'P 63 m c'
_space_group_IT_number 186
_space_group_name_Hall 'P 6c -2c'
loop_
_atom_site_label
_atom_site_type_symbol
_atom_site_fract_x
_atom_site_fract_y
_atom_site_fract_z
Zn1 Zn 0.0000 0.0000 0.0000
Zn2 Zn 0.0000 0.0000 0.2000
Zn3 Zn 0.3333 0.6667 0.1000
Zn4 Zn 0.3333 0.6667 0.4000
Zn5 Zn 0.3333 0.6667 0.8000
S1 S 0.0000 0.0000 0.0750
S2 S 0.0000 0.0000 0.2750
S3 S 0.3333 0.6667 0.1751
S4 S 0.3333 0.6667 0.4750
S5 S 0.3333 0.6667 0.8750
```

Top 10 peaks for 2θ from 10° to 90°, in order of rising 2θ:
- 2θ = 27.3°, rel. 23
- 2θ = 28.1°, rel. 100
- 2θ = 28.3°, rel. 70
- 2θ = 29.1°, rel. 71
- 2θ = 31.8°, rel. 20
- 2θ = 46.3°, rel. 37
- 2θ = 47.2°, rel. 86
- 2θ = 48.8°, rel. 36
- 2θ = 54.1°, rel. 18
- 2θ = 55.9°, rel. 57

* * * * *

Structure and theoretical powder XRD pattern of Hf2Ga4Au (DFT lattice parameters and positions (PBE); a wavelength of 1.5418 Å).
Neutral-atom scattering factors, no anomalous dispersion.

Largest 10 diffraction maxima, by angle, 10° ≤ 2θ ≤ 80°:
Position (°2θ), I/Imax, h k l
29.44, 38, 2 0 -2
31.82, 85, 1 1 -1
34.54, 62, 3 1 -1
35.56, 54, 4 0 1
39.24, 39, 2 0 2
39.94, 67, 6 0 -2
41.29, 100, 3 1 1
41.62, 73, 5 1 -1
45.20, 35, 2 0 -3
53.74, 36, 3 1 -3

Cell and atoms:
abc: 14.9563 3.1741 6.0682
angles: 90.00 112.95 90.00
Space group C2/m (No. 12)
One atom of each set of equivalent atoms:
Hf: 0.2309 0.0000 0.2046 (multiplicity 4)
Ga: 0.0971 0.0000 0.7225 (multiplicity 4)
Ga: 0.1046 0.5000 0.3633 (multiplicity 4)
Au: 0.0000 0.0000 0.0000 (multiplicity 2)

* * * * *

# 1
# Ce2AgSn
Simulated X-ray powder pattern, Cu Ka. Input: a cell relaxed with PBE.
Lines closer than 0.1° are merged.

Top 7 peaks for 2θ = 10–90°, in order of rising 2θ:
| Position (°2θ) | I (rel.) |
| --- | --- |
| 23.33 | 1 |
| 33.23 | 100 |
| 47.71 | 18 |
| 59.38 | 37 |
| 69.77 | 12 |
| 79.50 | 16 |
| 88.94 | 4 |

Structure:
Lattice parameters (Å, degrees): 5.391 5.391 5.391 60.00 60.00 60.00
Element x y z (fractional)
Ce 0.250 0.250 0.250
Ce 0.750 0.750 0.750
Ag 0.000 0.000 0.000
Sn 0.500 0.500 0.500

# 2
# GeS2
Simulated X-ray powder pattern, Cu Ka. Input: a cell relaxed with PBE.
Lines closer than 0.1° are merged.

Top 8 peaks for 2θ = 10–90°, in order of rising 2θ:
| Position (°2θ) | I (rel.) |
| --- | --- |
| 14.47 | 100 |
| 24.05 | 13 |
| 26.07 | 17 |
| 28.37 | 11 |
| 30.89 | 16 |
| 31.44 | 11 |
| 32.27 | 14 |
| 33.41 | 11 |

Structure:
Lattice parameters (Å, degrees): 6.951 6.951 11.996 99.93 99.93 113.90
Element x y z (fractional)
Ge 0.000 0.000 0.000
Ge 0.001 0.269 0.777
Ge 0.004 0.265 0.278
Ge 0.477 0.235 0.224
Ge 0.738 0.250 0.496
Ge 0.981 0.738 0.718
S 0.043 0.222 0.460
S 0.210 0.088 0.735
S 0.213 0.594 0.760
S 0.339 0.020 0.040
S 0.346 0.471 0.261
S 0.446 0.031 0.353
S 0.680 0.105 0.648
S 0.755 0.592 0.537
S 0.771 0.698 0.849
S 0.829 0.463 0.241
S 0.842 0.924 0.146
S 0.978 0.303 0.961
- - -

To do:
Echo only the last part of the calculation results further above, starting with the line that has "0.4750".

Reply:
S4 S 0.3333 0.6667 0.4750
S5 S 0.3333 0.6667 0.8750
```

Top 10 peaks for 2θ from 10° to 90°, in order of rising 2θ:
- 2θ = 27.3°, rel. 23
- 2θ = 28.1°, rel. 100
- 2θ = 28.3°, rel. 70
- 2θ = 29.1°, rel. 71
- 2θ = 31.8°, rel. 20
- 2θ = 46.3°, rel. 37
- 2θ = 47.2°, rel. 86
- 2θ = 48.8°, rel. 36
- 2θ = 54.1°, rel. 18
- 2θ = 55.9°, rel. 57

* * * * *

Structure and theoretical powder XRD pattern of Hf2Ga4Au (DFT lattice parameters and positions (PBE); a wavelength of 1.5418 Å).
Neutral-atom scattering factors, no anomalous dispersion.

Largest 10 diffraction maxima, by angle, 10° ≤ 2θ ≤ 80°:
Position (°2θ), I/Imax, h k l
29.44, 38, 2 0 -2
31.82, 85, 1 1 -1
34.54, 62, 3 1 -1
35.56, 54, 4 0 1
39.24, 39, 2 0 2
39.94, 67, 6 0 -2
41.29, 100, 3 1 1
41.62, 73, 5 1 -1
45.20, 35, 2 0 -3
53.74, 36, 3 1 -3

Cell and atoms:
abc: 14.9563 3.1741 6.0682
angles: 90.00 112.95 90.00
Space group C2/m (No. 12)
One atom of each set of equivalent atoms:
Hf: 0.2309 0.0000 0.2046 (multiplicity 4)
Ga: 0.0971 0.0000 0.7225 (multiplicity 4)
Ga: 0.1046 0.5000 0.3633 (multiplicity 4)
Au: 0.0000 0.0000 0.0000 (multiplicity 2)

* * * * *

# 1
# Ce2AgSn
Simulated X-ray powder pattern, Cu Ka. Input: a cell relaxed with PBE.
Lines closer than 0.1° are merged.

Top 7 peaks for 2θ = 10–90°, in order of rising 2θ:
| Position (°2θ) | I (rel.) |
| --- | --- |
| 23.33 | 1 |
| 33.23 | 100 |
| 47.71 | 18 |
| 59.38 | 37 |
| 69.77 | 12 |
| 79.50 | 16 |
| 88.94 | 4 |

Structure:
Lattice parameters (Å, degrees): 5.391 5.391 5.391 60.00 60.00 60.00
Element x y z (fractional)
Ce 0.250 0.250 0.250
Ce 0.750 0.750 0.750
Ag 0.000 0.000 0.000
Sn 0.500 0.500 0.500

# 2
# GeS2
Simulated X-ray powder pattern, Cu Ka. Input: a cell relaxed with PBE.
Lines closer than 0.1° are merged.

Top 8 peaks for 2θ = 10–90°, in order of rising 2θ:
| Position (°2θ) | I (rel.) |
| --- | --- |
| 14.47 | 100 |
| 24.05 | 13 |
| 26.07 | 17 |
| 28.37 | 11 |
| 30.89 | 16 |
| 31.44 | 11 |
| 32.27 | 14 |
| 33.41 | 11 |

Structure:
Lattice parameters (Å, degrees): 6.951 6.951 11.996 99.93 99.93 113.90
Element x y z (fractional)
Ge 0.000 0.000 0.000
Ge 0.001 0.269 0.777
Ge 0.004 0.265 0.278
Ge 0.477 0.235 0.224
Ge 0.738 0.250 0.496
Ge 0.981 0.738 0.718
S 0.043 0.222 0.460
S 0.210 0.088 0.735
S 0.213 0.594 0.760
S 0.339 0.020 0.040
S 0.346 0.471 0.261
S 0.446 0.031 0.353
S 0.680 0.105 0.648
S 0.755 0.592 0.537
S 0.771 0.698 0.849
S 0.829 0.463 0.241
S 0.842 0.924 0.146
S 0.978 0.303 0.961